Travel and Hospitality Marketing During a Pandemic
We would be hard-pressed to think of a situation that impacts the travel and hospitality industry as much as the novel coronavirus (COVID-19). As we all face these uncertain times—with news updates changing by the minute—it’s imperative to create a safe, calm environment for employees and customers. Here are some things to think about…right now.
- Reach out to your customer base. Many travel companies and hoteliers have already sent out communications regarding COVID-19. It’s best to be proactive and address concerns your customers have about future bookings. Your sales team is your first defense against pandemonium and can do much to prevent a run on cancellations by assuring clients that you are monitoring the situation carefully. Take the initiative on rebooking dates, honoring pricing and offering suggestions on accommodating smaller meetings and events (less than 50 people). This is especially fruitful when touching base with group business, a segment that books in advance. Encourage your sales team to communicate with your group clients, assuring them that you are there for them with ideas and future dates. For social events, promote a sense of calm and concern as emotions will run high—especially for bridal parties who are faced with postponing that big day.
- Don’t stop marketing but be sensitive to the current mood. As you send out promotions, offers and the like, be future-oriented but also acknowledge the present. Once restrictions are lifted, there will be a pent-up demand for getaways, group business and events. Be ahead of that curve. Include a short message of gratitude for their past business, as you invite them to plan future bookings.
- Evaluate operating procedures from top to bottom. For the business you still have, examine current operating practices and adapt accordingly, especially as you may be working with a skeletal team. Modify brand touchpoints to accommodate social distancing. Review check-in, food service, housekeeping and conference services…and communicate every change to instill confidence in your customers.
'''
No. 1
# C27H27BrN4O4Ti

A structure of composition C27H27BrN4O4Ti (ωB97M-V/def2-TZVPD, the Open Molecules 2025 dataset).

The geometry in ORCA input format:
```
! wB97M-V def2-TZVPD RIJCOSX def2/J DEFGRID3
* xyz -2 3
Ti 0.1810 0.1652 0.1961
O 2.6199 0.7181 3.7974
C 3.5207 1.5828 3.2533
C 4.3734 2.3022 4.0921
C 5.3174 3.1763 3.5837
C 5.4216 3.3341 2.2072
C 4.5709 2.6229 1.3786
C 3.6045 1.7393 1.8630
C 2.7140 1.0656 0.8951
O 1.7294 0.2971 1.3215
N 2.8686 1.2420 -0.3781
N 1.8386 0.5950 -1.0007
C 2.0133 0.2153 -2.2757
C 1.2426 -0.8288 -2.8396
C 1.3201 -1.1163 -4.2238
C 0.6215 -2.1584 -4.8092
C -0.1869 -2.9790 -4.0282
C -0.2753 -2.7382 -2.6532
C 0.4142 -1.6962 -2.0482
O 0.3056 -1.5383 -0.7269
H 2.5577 0.9023 4.7392
H 4.2799 2.1558 5.1644
H 5.9620 3.7280 4.2580
H 6.1471 4.0149 1.7793
H 4.6208 2.7488 0.3050
H 2.8299 0.6637 -2.8366
H 1.9492 -0.4795 -4.8396
H 0.7048 -2.3283 -5.8777
H -0.7453 -3.7941 -4.4744
H -0.8828 -3.3594 -2.0047
N -2.8431 -1.2640 -0.7715
C -3.0375 -2.0058 0.4018
C -4.0901 -2.9274 0.3772
C -4.4345 -3.6647 1.5002
C -3.7404 -3.4660 2.6700
C -2.6695 -2.5442 2.7355
C -1.9909 -2.3572 3.9634
C -0.9347 -1.4402 3.9897
C -0.5746 -0.7815 2.8480
N -1.1645 -0.9252 1.6183
C -2.2701 -1.8050 1.5729
H -3.0412 -1.8163 -1.5935
H -1.9153 -0.8815 -0.8640
H -4.6475 -3.0316 -0.5480
H -5.2505 -4.3789 1.4524
H -3.9939 -4.0128 3.5724
H -2.3039 -2.9183 4.8356
H -0.3686 -1.2383 4.8920
H 0.2610 -0.0977 2.8846
Br -0.3537 2.4849 1.5490
C -0.4256 2.9457 -2.1859
C -1.4304 1.8215 -1.9725
C -1.7379 1.0982 -3.2794
C -2.7174 2.3291 -1.3302
O -0.8572 0.8707 -1.0879
H -0.8610 3.7182 -2.8300
H 0.4792 2.5597 -2.6579
H -0.1587 3.3833 -1.2237
H -2.1699 1.8001 -4.0016
H -2.4616 0.3007 -3.1027
H -0.8349 0.6605 -3.7067
H -3.2424 3.0016 -2.0189
H -2.4939 2.8508 -0.4015
H -3.3632 1.4786 -1.1045
*
```

Results
* HOMO level (spin up / spin down): 0.80 / -1.74 eV
* gap between HOMO and LUMO (spin up / spin down): 0.1386 / 0.2318 Eh
* relative energy (zero: lowest compared OMol25 entry of this formula, charge and spin): 57.5 kcal/mol
* lowest unoccupied orbital energy (spin up / spin down): 4.570 / 4.564 eV

=====

No. 2
# C3H9NO3

A cluster of 2 separate species, C3H9NO3 in total (ωB97M-V/def2-TZVPD, the Open Molecules 2025 dataset).

The geometry in ORCA input format:
```
! wB97M-V def2-TZVPD RIJCOSX def2/J DEFGRID3
* xyz 0 1
C -0.7908 0.2436 0.6165
C -0.7474 -0.5617 -0.5460
C 1.8840 0.4899 -0.4165
N 0.8502 -0.3661 0.1292
O 1.3449 -1.4432 0.8962
O -0.8182 1.5800 0.4937
O -2.7952 -0.3703 -0.1339
H 1.4722 -2.1741 0.2718
H -0.9549 1.9872 1.3562
H -3.1964 0.3815 -0.5877
H -0.9783 -0.2117 1.5775
H -0.7419 -0.0976 -1.5197
H -0.9444 -1.6164 -0.4661
H 2.4537 -0.0195 -1.2023
H 1.3956 1.3664 -0.8425
H 2.5668 0.8120 0.3736
*
```

Results
* HOMO level: -7.75 eV
* gap between HOMO and LUMO: 0.3017 Eh
* relative energy (zero: lowest compared OMol25 entry of this formula, charge and spin): 162.1 kcal/mol
* lowest unoccupied orbital energy: 0.458 eV

=====

No. 3
# C9H18Cl3I2IrO3P2
'''
• Here the page continues:
- Be prepared, be prudent and plan, plan, plan. Everyone will be weighing in on the impact of COVID-19 on travel. Assign someone on your team the specific task of staying on top of what the industry (and your competition) is doing and monitor CDC recommendations on travel. Here’s a recent headline (March 13, 2020) that we found reassuring: COVID-19 Isn’t All Doom and Gloom for the Travel & Hospitality Industry. Most of all, use this time to plan for summer and fall business—and be ready to race out of the gate with timely promotions and offers for group, IBT and leisure segments.
Remember, we’re all in this together. We will experience the profound joy and satisfaction from traveling, meeting and celebrating again soon. If you need help with messaging and planning, please contact Lynn Kaniper at 609.466.9187 ext. 117 or, and let’s talk.